Wanted =
Find the line further below that holds "1.6574 0.111", then write out that line and all lines after it there.

Entries =
<<<
(1)
Entry from OMol25: C25H35N2OPReS2 as an isolated structure (ωB97M-V/def2-TZVPD).

Structure (XYZ):
```
67
Properties=species:S:1:pos:R:3:forces:R:3:mulliken_spin:R:1
H 1.6778 2.6612 0.4737 0.020 0.007 -0.026 0.000
C -0.8352 1.4016 -3.3671 -0.008 -0.012 -0.185 -0.014
C 2.9445 -4.1035 1.5704 -0.021 -0.076 -0.036 -0.001
H 2.4071 -3.9048 0.6467 0.007 -0.023 0.033 0.002
H -3.7354 -1.0973 3.0437 -0.026 -0.015 -0.020 0.000
C 1.8938 -0.8640 0.9501 0.021 -0.039 0.085 0.031
C 4.7263 -3.5798 3.0937 0.028 -0.064 0.066 -0.001
H 3.0158 -6.3086 4.1342 0.014 -0.004 -0.015 0.000
C 4.0154 -3.2945 1.9351 -0.073 0.151 0.029 -0.001
H -2.7251 3.4270 -2.3214 0.019 -0.006 0.004 0.000
C -1.3278 -0.8809 3.1816 -0.006 -0.022 -0.105 0.002
H -5.9946 -1.3808 2.1992 0.006 0.003 0.001 0.000
N 0.8413 -0.6806 1.6427 -0.253 0.086 -0.224 0.020
S 1.8652 -1.2505 -0.8194 -0.479 -0.140 -0.072 -0.075
C -0.1010 0.1060 -3.7786 -0.015 0.052 0.298 0.021
H 0.4270 2.7488 -4.5278 -0.016 -0.003 0.012 0.000
S 3.4464 -0.5825 1.6574 0.111 -0.169 -0.009 0.006
C -2.7906 -0.9778 1.1094 0.204 0.023 0.236 0.020
Re -0.2611 -0.5950 -1.1108 0.507 0.277 -0.185 1.008
H -1.1653 3.4165 -4.1345 0.002 -0.008 -0.002 0.000
H 0.6124 4.6399 -0.9973 0.002 -0.012 0.018 0.000
H -0.3237 -0.6776 3.5193 0.087 0.013 -0.019 0.000
H -1.6243 -1.8677 3.5431 -0.006 0.010 -0.002 0.000
C 4.3619 -2.0948 1.1078 -0.082 0.073 -0.016 0.002
H 5.4060 -1.8019 1.2036 0.013 -0.011 0.008 0.000
H 1.7662 -5.8287 2.0580 0.004 0.013 0.003 0.000
H -1.6402 4.5434 -1.4751 0.003 0.003 0.005 0.000
C -1.1486 2.8355 0.7584 -0.004 0.011 -0.008 0.001
H -0.5570 3.7501 0.7814 0.015 0.000 -0.019 0.000
N -0.3767 -0.7297 0.9319 0.109 0.024 0.216 -0.014
H 0.9812 0.2368 -3.8171 0.000 0.003 -0.009 0.000
C 4.3673 -4.6641 3.8822 0.045 0.050 -0.009 0.000
H 0.3599 4.3844 -2.7327 0.013 -0.009 0.036 0.000
C -2.3080 3.6946 -1.3504 -0.027 -0.014 0.035 -0.001
H -0.4316 -0.2360 -4.7601 -0.020 -0.003 -0.022 0.001
C 2.5860 -5.1884 2.3571 -0.024 0.024 -0.055 -0.001
H 1.7812 2.2846 -2.5742 0.044 -0.035 0.024 0.002
C -3.0730 -1.0311 -0.2602 0.229 0.034 -0.350 0.018
H 5.5711 -2.9621 3.3763 -0.022 0.001 0.011 0.000
H 1.9777 4.6524 -2.1029 -0.004 0.014 0.008 0.000
C 1.2857 2.6764 -1.6785 0.021 0.003 -0.026 -0.003
H -0.3110 -0.8384 -3.1766 -0.037 0.122 0.072 -0.011
C -5.1750 -1.2764 1.5024 0.041 0.009 -0.032 -0.004
H -1.9043 1.1793 -3.2842 -0.008 0.004 0.047 -0.002
H -6.4137 -1.4545 -0.2465 0.007 0.005 0.001 0.000
H -2.3581 1.6977 -0.5968 -0.014 -0.004 -0.006 -0.005
C -5.4099 -1.3169 0.1321 -0.017 -0.005 -0.007 0.002
H 2.5947 1.4422 -0.4282 -0.017 -0.038 -0.004 0.002
C -3.8897 -1.1127 1.9763 -0.062 -0.003 0.016 -0.002
H -2.0196 2.9956 1.3944 0.001 0.023 -0.013 0.000
H -4.4970 -1.2349 -1.8227 -0.023 -0.012 0.018 -0.001
H 3.0346 3.1360 -0.5381 0.002 -0.013 0.005 0.000
C -1.4460 -0.8487 1.6851 -0.070 -0.041 0.040 -0.016
H 4.1444 -2.2518 0.0525 0.108 0.028 -0.013 0.001
C 2.1903 2.4498 -0.4659 -0.061 0.051 0.022 0.000
C -1.6228 2.5088 -0.6626 -0.069 0.004 0.053 0.008
H 4.9311 -4.8880 4.7779 -0.008 0.008 -0.009 0.000
C 1.0204 4.1749 -1.8934 0.026 -0.010 -0.048 0.000
P -0.2896 1.7345 -1.6465 0.007 0.018 0.004 -0.001
H -3.1372 4.0196 -0.7207 -0.002 -0.002 -0.009 0.000
C -0.6293 2.5069 -4.3999 0.006 -0.037 -0.077 0.000
C -4.3530 -1.1949 -0.7512 -0.132 -0.016 -0.070 -0.006
O -2.0807 -0.9012 -1.2048 -0.110 -0.258 0.287 0.014
H -1.0087 2.1745 -5.3674 0.007 -0.007 0.014 0.000
C 3.2942 -5.4640 3.5182 -0.006 -0.017 0.022 0.000
H -2.0102 -0.1500 3.6144 0.021 -0.004 -0.010 0.000
H -0.5519 2.0358 1.2034 -0.028 -0.015 -0.017 0.000
```
Positions in Å, forces in eV/Å.

## Properties
max |F|: 0.607 eV/A
HOMO level (alpha / beta): -13.478 / -13.478 eV
⟨S²⟩: 0.76
total charge: +2
energy above the lowest of the compared OMol25 structures with the same formula, charge and spin: 0.0 kcal/mol
frontier orbital gap (alpha / beta): 5.2 / 5.5 eV
spin multiplicity: 2

---

(2)
>>>

Result =
S 3.4464 -0.5825 1.6574 0.111 -0.169 -0.009 0.006
C -2.7906 -0.9778 1.1094 0.204 0.023 0.236 0.020
Re -0.2611 -0.5950 -1.1108 0.507 0.277 -0.185 1.008
H -1.1653 3.4165 -4.1345 0.002 -0.008 -0.002 0.000
H 0.6124 4.6399 -0.9973 0.002 -0.012 0.018 0.000
H -0.3237 -0.6776 3.5193 0.087 0.013 -0.019 0.000
H -1.6243 -1.8677 3.5431 -0.006 0.010 -0.002 0.000
C 4.3619 -2.0948 1.1078 -0.082 0.073 -0.016 0.002
H 5.4060 -1.8019 1.2036 0.013 -0.011 0.008 0.000
H 1.7662 -5.8287 2.0580 0.004 0.013 0.003 0.000
H -1.6402 4.5434 -1.4751 0.003 0.003 0.005 0.000
C -1.1486 2.8355 0.7584 -0.004 0.011 -0.008 0.001
H -0.5570 3.7501 0.7814 0.015 0.000 -0.019 0.000
N -0.3767 -0.7297 0.9319 0.109 0.024 0.216 -0.014
H 0.9812 0.2368 -3.8171 0.000 0.003 -0.009 0.000
C 4.3673 -4.6641 3.8822 0.045 0.050 -0.009 0.000
H 0.3599 4.3844 -2.7327 0.013 -0.009 0.036 0.000
C -2.3080 3.6946 -1.3504 -0.027 -0.014 0.035 -0.001
H -0.4316 -0.2360 -4.7601 -0.020 -0.003 -0.022 0.001
C 2.5860 -5.1884 2.3571 -0.024 0.024 -0.055 -0.001
H 1.7812 2.2846 -2.5742 0.044 -0.035 0.024 0.002
C -3.0730 -1.0311 -0.2602 0.229 0.034 -0.350 0.018
H 5.5711 -2.9621 3.3763 -0.022 0.001 0.011 0.000
H 1.9777 4.6524 -2.1029 -0.004 0.014 0.008 0.000
C 1.2857 2.6764 -1.6785 0.021 0.003 -0.026 -0.003
H -0.3110 -0.8384 -3.1766 -0.037 0.122 0.072 -0.011
C -5.1750 -1.2764 1.5024 0.041 0.009 -0.032 -0.004
H -1.9043 1.1793 -3.2842 -0.008 0.004 0.047 -0.002
H -6.4137 -1.4545 -0.2465 0.007 0.005 0.001 0.000
H -2.3581 1.6977 -0.5968 -0.014 -0.004 -0.006 -0.005
C -5.4099 -1.3169 0.1321 -0.017 -0.005 -0.007 0.002
H 2.5947 1.4422 -0.4282 -0.017 -0.038 -0.004 0.002
C -3.8897 -1.1127 1.9763 -0.062 -0.003 0.016 -0.002
H -2.0196 2.9956 1.3944 0.001 0.023 -0.013 0.000
H -4.4970 -1.2349 -1.8227 -0.023 -0.012 0.018 -0.001
H 3.0346 3.1360 -0.5381 0.002 -0.013 0.005 0.000
C -1.4460 -0.8487 1.6851 -0.070 -0.041 0.040 -0.016
H 4.1444 -2.2518 0.0525 0.108 0.028 -0.013 0.001
C 2.1903 2.4498 -0.4659 -0.061 0.051 0.022 0.000
C -1.6228 2.5088 -0.6626 -0.069 0.004 0.053 0.008
H 4.9311 -4.8880 4.7779 -0.008 0.008 -0.009 0.000
C 1.0204 4.1749 -1.8934 0.026 -0.010 -0.048 0.000
P -0.2896 1.7345 -1.6465 0.007 0.018 0.004 -0.001
H -3.1372 4.0196 -0.7207 -0.002 -0.002 -0.009 0.000
C -0.6293 2.5069 -4.3999 0.006 -0.037 -0.077 0.000
C -4.3530 -1.1949 -0.7512 -0.132 -0.016 -0.070 -0.006
O -2.0807 -0.9012 -1.2048 -0.110 -0.258 0.287 0.014
H -1.0087 2.1745 -5.3674 0.007 -0.007 0.014 0.000
C 3.2942 -5.4640 3.5182 -0.006 -0.017 0.022 0.000
H -2.0102 -0.1500 3.6144 0.021 -0.004 -0.010 0.000
H -0.5519 2.0358 1.2034 -0.028 -0.015 -0.017 0.000
```
Positions in Å, forces in eV/Å.

## Properties
max |F|: 0.607 eV/A
HOMO level (alpha / beta): -13.478 / -13.478 eV
⟨S²⟩: 0.76
total charge: +2
energy above the lowest of the compared OMol25 structures with the same formula, charge and spin: 0.0 kcal/mol
frontier orbital gap (alpha / beta): 5.2 / 5.5 eV
spin multiplicity: 2

---

(2)